View Full Version : Please help, need advice about baby squirrels

09-08-2008, 02:24 PM
About three hours ago I heard a squeaking on the porch and I looked out and there was a tiny baby squirrel on the roof. As some of you know, I have had baby squirrels up in the nest between the wall & chimney before, but until this morning, I didn't know Rosie had another little family up there.

The problem is, this little guy fell off the roof and for the past THREE HOURS has been running around the deck. He's just a tiny thing, I would say 4-5 inches in body length not counting his tail. I can hear squeaking up in the nest, so I know there are other babies up there.

I don't know how old he is, but he's obviously hungry and nibbling on the squirrel brownies I put out. I am worried that something has happened to Rosie. Can someone tell me how long a mother squirrel will leave a nest with babies alone? I am VERY worried about the little ones in the nest, if something has happened to Rosie they might be hungry. And how long should I leave this little guy to run around on the deck? If she doesn't come back, should I bring him inside & get the others out of the nest? How long should I wait?

Here are pictures, PLEASE HELP!! Thank you so much!

09-08-2008, 02:37 PM
oh my gosh....that little baby is one of the cutest EVER!!!! i don't know about everyone else....but if the mommy doesn't come back, they definitely will need someone to help them. i'm glad you know where there nest is and that for the time being they're in it. are you able to watch the baby on the run to make sure a predator doesn't get him!?

09-08-2008, 02:41 PM
Yes, I am watching him. But what I'm worried about is how long I should wait for Rosie to come back, she's been away over three hours now.

island rehabber
09-08-2008, 02:43 PM
Squirrellie I wouldn't worry until late afternoon -- 5-6pm. Those babies are at the age where if they were in rehab we would be feeding every 5-6 hours anyway, so she knows they are ok to leave for awhile. But, as the sun gets low Rosie SHOULD be back. If not....execute Plan B. :)

09-08-2008, 03:31 PM
Thank you IR, I hope she comes back soon, she's been gone at least four hours. Now the baby is hiding in back of the grill and he looks worried.

How old do you think this baby is? He looks so tiny, but he is eating regular food.

Here are some pictures showing him eating before he went and hid behind the grill.

09-08-2008, 03:39 PM
at least he's safe right now AND if you do have to intervene they look like they'll be easier to care for since they're a little older. plus...the fact that you know the others are up in the nest means they haven't fallen or been injured most likely. keep an eye on the nest too to make sure no predators get those sweet little things!

09-08-2008, 03:45 PM
Looks like an emaciated 5-6 week old to me. Can you safely get to the nest in case you have to implement plan B? Is he drinking any water? You are a wonderful photographer! Good luck!

09-08-2008, 04:04 PM
Babies that age don't start leaving the nest unless Mom has been missing for a while as in days. I would encourage to have a plan for rescue in place and not wait till dark. You don't want to be climbing on the roof in the dark. It be very quickly clear they need help if they feel as skinny as they look.

09-08-2008, 04:36 PM
Babies that age don't start leaving the nest unless Mom has been missing for a while as in days. I would encourage to have a plan for rescue in place and not wait till dark. You don't want to be climbing on the roof in the dark. It be very quickly clear they need help if they feel as skinny as they look.

Winky2, there is water on the porch but I didn't see him drink any.

Mars, that is what I'm worried about. I haven't seen Rosie since Saturday, we had a big storm Saturday afternoon. I think something happened to her. Just now I went to try to pick up the baby to test his skin for dehydration, but he freaked out and started barking and squealing when I got near him, then he wedged himself down between the wall and the deck. He was really panicked. I don't know what to do at this point, I don't want to scare him any more. And also will the other ones be upset like that if I have to take them out of the nest? Is there a right and wrong way to pick them up? Is there anybody who can help me take them out of the nest, who has done this before?

Here are pictures of the baby hiding behind the grill and then down between the wall and deck. I am starting to get very upset about this, I want to help him but can't get to him where he is now.

09-08-2008, 05:13 PM
:D He is a cute little bugger :D
I really do hope you succeed in resolving this problem. Poor baby.:grouphug

Jackie in Tampa
09-08-2008, 05:28 PM
:grouphug be prepared...they MAY chew out of a cat carrier or rubbermaid tub...:sanp3
good luck!:Love_Icon

09-08-2008, 07:25 PM
Love the photos, we are enjoying watching this little one too! OH the Cuteness!!

09-08-2008, 08:57 PM
Now it's almost 9 PM and Rosie has not returned. I found the baby at 11:30 this morning, and haven't actually seen Rosie since Saturday. Tonight I went to get Pedialyte, tomorrow will get Ebsilac.

We're going into the nest tomorrow to get the rest of the babies out. I am worried because the little guy is already afraid of people and he squealed when I tried to pick him up today. He's still on the porch, I put out a box with t shirts for him to sleep in. Should I try to get the babies to a rehabber when we take them out of the nest?

Thank you Sciurus, isn't this little baby so sweet he takes your breath away. I am just feeling REALLY bad that this means something has happened to Rosie, though. They are at the age when they really need their mom, I think, because they seem too young to live on their own but this one has already shown he's afraid of me.

Does anyone have any advice on how to handle the babies at this age, besides to wear gloves when taking them out and cover the nest with a blanket? I would really appreciate any more practical advice.

09-08-2008, 09:07 PM
Do you have a Havaheart to try to catch the baby? What about a net? When it comes out to nibble, you can also try throwing a blanket over it, but only if you are a good aim. He will certainly be fearful and evasive after that.

09-08-2008, 09:13 PM
I think since they will be afraid, you should use gloves and a blanket to capture them in the nest if possible. They can at that age chew through plastic but that may be all you have. Keep them quiet and in a dark space while they settle down. Do you have a syringe that you can offer them pedialyte with? They may be so thirsty they will take it eagarly. They do look like they have not had Mom in a while so I would try the liquid asap. Good that they are eating the biscuits:) I am sure there will be others here soon with more advice. Good luck:grouphug That little one is adorable:Love_Icon
Thanks for trying to help them:thankyou :grouphug

09-08-2008, 09:15 PM
marie..i just tried to phone you....:poke
i had this same situation in ct... mommy got hit by a car..i saw it happen..but i saw her run away under a tree...she died.. :Cry..then the next morning....3 babies..i bribed them with a bottle.....except..once you've got them to come to you...use the syringe.with pedialyte.:thumbsup you're gonna have to get a big cage....:thumbsup i used a large shoe box with bunny fur to line the box...or you can use fleece..inside the cage..
call me..:) if you want..:thumbsup

09-08-2008, 10:15 PM
Gamma, I can't find the baby now, it's almost 10 PM. My husband thinks he might have hidden under the deck for the night. I put a sleeping box out with t shirts and a ladder up to the nest. First thing tomorrow at sunrise we're going up to try to get the others. The babies are definitely still alive, at about 5PM tonight I heard a lot of scuffling in the nest, and a lot of squeaking this afternoon. This little guy seems strong, he even tried to climb the screen. But my first impression was he was thin.

Yes if you know of any local rehabbers, please let me know.

Atlanta squirrel girl, no I don't have a Havaheart trap but wrapping him in a blanket sounds like a good idea. This afternoon I tried to grab him wearing oven mitts and he got really scared.

Wheezer, yes I just got the pedialyte, the unflavored (clear) kind and a big eyedropper, here is a picture of the eyedropper. Does it look like the right kind?

Rachel, thank you for calling, I still have dial up (yuk, not for long) so you probably got the busy message. I will try you tomorrow, I am going to bed soon so I can get up at dawn to get the babies out. I made the squirrel brownies for you yesterday, good timing because this little guy ate some today. Don't worry, there are plenty left for you.

Here is a picture of the little guy climbing the screen to get in the nest. Also two pictures of the CUTENESS

Everybody PLEASE wish me luck with getting the rest of the babies out tomorrow and thank you SO MUCH for your advice and support:thankyou

-- begin --
Entry 1:
The following is a simulated powder diffraction line list of ErPPt4. It was derived from a crystal structure in Alexandria, relaxed with GGA-PBE, using a wavelength of 1.5418 Å.
Lines closer than 0.1° are merged.

Principal peaks in the range 2θ = 10–90°, in order of rising 2θ:
Position (°2θ)	d (Å)	intensity
35.59	2.523	100
37.22	2.416	76
44.43	2.039	46
46.37	1.958	28
66.16	1.412	28
67.70	1.384	19

Cell and atoms:
```
ErPPt4
1.0
1.958 -7.673 0.000
1.958 7.673 0.000
0.000 0.000 6.754
Er P Pt
2 2 8
Cartesian
1.958 6.119 5.065 Er
1.958 -6.119 1.688 Er
1.958 3.987 1.688 P
1.958 -3.987 5.065 P
1.958 6.416 1.688 Pt
1.958 2.793 3.632 Pt
1.958 2.793 6.498 Pt
1.958 0.000 0.000 Pt
1.958 0.000 3.377 Pt
1.958 -2.793 0.255 Pt
1.958 -2.793 3.121 Pt
1.958 -6.416 5.065 Pt
```



Entry 2:
The following is a simulated powder diffraction line list of ErP2Pt7. It was derived from a crystal structure in Alexandria, relaxed with GGA-PBE, using a wavelength of 1.5418 Å.
Lines closer than 0.1° are merged.

Principal peaks in the range 2θ = 10–90°, in order of rising 2θ:
Position (°2θ)	d (Å)	intensity
31.54	2.837	33
32.78	2.732	31
36.27	2.477	34
41.53	2.175	100
45.21	2.006	57
80.92	1.188	30

Cell and atoms:
```
ErP2Pt7
1.0
-2.006 2.006 10.160
2.006 -2.006 10.160
2.006 2.006 -10.160
Er P Pt
1 2 7
Cartesian
0.000 0.000 0.000 Er
0.000 0.000 6.623 P
0.000 0.000 13.696 P
2.006 0.000 2.153 Pt
2.006 0.000 5.080 Pt
2.006 0.000 8.007 Pt
0.000 0.000 10.160 Pt
0.000 2.006 2.153 Pt
0.000 2.006 5.080 Pt
0.000 2.006 8.007 Pt
```



Entry 3:
The following is a simulated powder diffraction line list of SrErP2Pt4. It was derived from a crystal structure in Alexandria, relaxed with GGA-PBE, using a wavelength of 1.5418 Å.
Lines closer than 0.1° are merged.

Principal peaks in the range 2θ = 10–90°, in order of rising 2θ:
Position (°2θ)	d (Å)	intensity
18.01	4.924	36
28.39	3.144	19
36.05	2.492	100
41.65	2.169	34
44.35	2.043	40
76.19	1.250	23

Cell and atoms:
```
SrErP2Pt4
1.0
4.085 0.000 0.000
0.000 4.085 0.000
0.000 0.000 9.849
Sr Er P Pt
1 1 2 4
Cartesian
0.000 0.000 0.000 Sr
0.000 0.000 4.924 Er
2.043 2.043 1.649 P
2.043 2.043 8.200 P
0.000 2.043 2.835 Pt
0.000 2.043 7.014 Pt
2.043 0.000 2.835 Pt
2.043 0.000 7.014 Pt
```
-- stop --
The page goes on

09-08-2008, 10:25 PM
Here are the other pictures

09-08-2008, 10:27 PM
I agree with Wheezer, toss a blanket, and scoop him up in it, and put him in a container, or tub with a lid. Then when you have him inside, work the blanket with your hands to get a grip on him to put him in a cage. This works well for babies of his age. He will squeak and scream, but don't worry, it is normal for him to do it. Better to hear a fuss and save his life. Kids you know are the same way, lots of noise, but you do what is best for them anyway.

09-08-2008, 10:31 PM
Please let us know ASAP how everything went for you tomorrow morning. MANY prayers going out to you and the little ones. :grouphug :Love_Icon :grouphug

Thank you so much Gamma, I will let you all know ASAP tomorrow.:thankyou

09-08-2008, 10:44 PM
Please don't leave a box out in the open, where a raccoon or some other predator can get at him. Even a rat can get a baby like that. If you can go out and turn on the light, he might try to come out still. pucking up your lips closed, make a vibrating sound like you were going to say wha, but don't open your lips up to do it, just make vibrating the sound in a low tone, like a grunt. It is a sound the mother and babies make to one another when it comes to food, it might draw him out. It is hard to decribe, sorry. I will be praying the little one will be ok.

09-08-2008, 10:45 PM
Bless you for trying to save these babies. I sure will pray for you all goes well in the morning Good Luck and hope to hear good news.:)

09-09-2008, 07:22 AM
Sciurus, we have a deck with a roof on it, I put the box in the corner and left the porch light on all night, but he didn't sleep there last night. You are right, I should have thought about predators because we do have skunks come by at night sometimes.

I used a stepladder to go up to the nest this morning before my husband went to work. I shined a flashlight in and it was EMPTY in there. There was bedding but NO babies. I moved the bedding around both entrances, both sides of the chimney and there was nobody in there at all. It was remarkably clean in there, not too chewed up, a little bit of pee smell but not much. I heard them scuffling around in there yesterday around dinner time and they were also squeaking loudly yesterday afternoon. I don't know what to think now. Maybe Rosie chewed another entrance hole and they're deeper inside the roof somewhere?? But I didn't see any other holes or chewed areas like that in there. There is also no sign of the baby I saw yesterday this morning but it's still early, about 7 AM.

I'm going to just wait and watch this morning. Here are some pictures of the nest area I took this morning. Behind all the bedding at the entrance is the nest enclosure, a crawl space between the deck roof and the roof overhang, by the chimney.

Thank you all so much for your help and great advice and support, I am not sure what is happening here but will keep you all posted. Thanks so much:thankyou :thankyou

Jackie in Tampa
09-09-2008, 08:09 AM
:grouphug Good luck and keep us posted.
Hoping for the best!:grouphug

09-09-2008, 03:44 PM
This doesnt sound good, if you can get those babies pm me or have someone call me if you can meet me half way to Hazleton I will be glad to take them dont be afraid to pick them up.

Jackie in Tampa
09-09-2008, 05:45 PM
:thumbsup :bowdown Rippie

09-09-2008, 06:44 PM
So far there is no sign of anybody. No Rosie, no little guy. I checked around the whole yard, all the bushes, under the deck with the flashlight and he is nowhere to be seen. And the nest is empty, I looked in there this morning.

What do you think has happened? Could Rosie have come back last night while we were out getting the Pedialyte and moved the babies because the one fell out and she thought it wasn't safe anymore?

Thank you Rippie, for offering to take them if needed. I will keep you posted on this.

Tum Tum
09-09-2008, 07:02 PM
So cute, looks like mine but smaller.

Good luck hope everything goes well and everyone is fine.

09-09-2008, 07:07 PM
i'd like to think rosie came back home..and didnt like her boy being so comfortable around humans....ans smelling of human food.....she came home...and moved them...gave her childrens..(children)...a good cursing :nono ....

your so..good marie.....willing to save a baby...i love the one of him on the roof top with his mouth open...was he crying for rosie ?http://thesquirrelboard.com/forums/attachment.php?attachmentid=50165&stc=1&d=1220926461
it was nice talking with you today....and mr human bean..you should have seen him *instant tail POOF* listening to your voice...:rotfl :jump
have a great night n try not to worry too much.:grouphug
rippie...you are such a sweet heart..:grouphug
rachel n bean:grouphug :wave123

09-09-2008, 09:01 PM
Tum Tum is adorable:Love_Icon :Love_Icon

Rachel, it was great to talk to you and Bean:Love_Icon today, I wish I could have seen his tail POOF! Yes, the baby's little mouth was open because he was squeaking for mommy. I'm still worried about the babies, just have this uneasy feeling, it's the not knowing what happened to them that is worrying, and not seeing Rosie at all today. I am hoping she moved them to her other nest, and will bring them back for the winter.

At least now I am prepared with the Pedialyte, Ebsilac and syringe just in case, and thank you Rippie, for being willing to take him if needed. Thanks to all of you on TSB, you are great!!

09-09-2008, 10:26 PM
I would like to think mommy came and got her babies. They do make more then one nest. Let's pray you will see them soon:)

09-11-2008, 07:27 PM
I would almost assume that Mommy returned for her babies. I was watching a you tube video the other day of a momma squirrel rescuing her baby from a cat carrier from a human who was only trying to help....it was quite cute acutally. I don't remember if I found it linked to here on the squirrel board or just looking around on you tube. But, to have them all missing...I would think they would of stayed close by unless Mom picked them up.